### Exercise
Transcribe all of the entries underneath exactly.
### Entries
____________
ORCA calculation (ωB97M-V/def2-TZVPD) on a molecular structure, C34H53B2BeF8IN4NaO15S2.

Last column: Mulliken charge in e.
Cartesian coordinates (Å):
C 3.1422 -1.5687 5.3419  -1.381
C 2.9936 -1.4665 3.8340  -0.273
C 1.7603 -0.7295 3.4662  -0.649
C 1.5985 -0.5377 1.9766  -1.791
N 0.3320 -1.2131 1.4912  0.916
C 0.5673 -2.2170 0.4457  -1.757
C -0.5038 -3.2589 0.4103  -0.920
C -0.6222 -3.8607 1.7544  -0.035
C -1.7140 -4.9312 1.8946  -0.803
B -1.4227 -5.5725 3.2380  0.342
O -1.2892 -4.8780 4.3230  -0.251
I -1.1564 -7.7576 3.4768  -0.170
C -0.6251 -0.3827 1.2313  -0.292
S -1.4012 -0.1588 -0.1998  -0.480
S -1.1032 0.6651 2.5917  0.042
C -2.8922 0.6764 2.5807  -1.001
C -3.4884 -0.2595 3.5552  -0.569
C -3.4052 -1.6918 3.0756  -0.726
H 2.9859 -2.5702 5.6592  0.353
H 2.4134 -0.9501 5.8051  0.360
H 4.1003 -1.2213 5.6482  0.324
H 2.8949 -2.4560 3.4312  0.121
H 3.7941 -0.9303 3.3886  0.435
H 1.7328 0.2044 3.9499  0.494
H 0.9001 -1.2689 3.8161  0.659
H 1.5552 0.5010 1.8130  0.503
H 2.4347 -0.9195 1.4562  0.780
H 0.7558 -1.7823 -0.5099  0.470
H 1.4493 -2.7280 0.7274  0.810
H -0.2397 -3.9863 -0.3256  0.699
H -1.4401 -2.8443 0.1115  0.332
H 0.3168 -4.2849 2.0310  0.197
H -0.8152 -3.1270 2.4851  0.343
H -2.6601 -4.4421 1.9517  0.155
H -1.7002 -5.6090 1.0707  0.320
H -2.1408 -4.6314 4.7039  0.319
H -3.2401 0.4913 1.5888  0.561
H -3.1621 1.6707 2.8375  0.256
H -4.5074 0.0417 3.6865  0.373
H -2.9877 -0.1824 4.4924  0.333
H -4.3768 -2.1329 3.0658  0.502
H -2.9853 -1.7092 2.0986  0.105
H -2.7585 -2.2609 3.6897  0.096
N -0.0820 4.2894 2.2643  1.091
O -1.1873 4.2927 2.8881  -0.669
O -0.0907 4.4495 0.9967  -0.698
O 0.9552 4.1490 2.8440  -0.630
C -2.9426 3.3201 -1.7233  -0.701
N -3.9167 3.9951 -0.8351  0.115
C -3.4760 4.3506 0.3746  -0.607
C -4.3133 5.0031 1.2487  -0.573
C -5.6102 5.2881 0.8734  0.772
C -6.0475 4.8853 -0.3913  -0.651
C -5.1791 4.2417 -1.2255  -0.263
C -6.5138 6.0215 1.7846  0.664
C -7.1179 7.2058 1.3929  -0.883
C -7.9852 7.8410 2.2488  -0.180
N -8.2569 7.3304 3.4504  0.091
C -7.6689 6.1977 3.8653  -0.349
C -6.7966 5.5277 3.0589  -0.653
C -9.2399 8.0181 4.3275  -1.051
H -2.5887 2.4389 -1.1904  0.226
H -2.1225 4.0012 -1.9261  0.346
H -3.4264 3.0276 -2.6491  0.293
H -2.4057 4.1271 0.6379  0.373
H -3.9088 5.2855 2.2119  0.707
H -7.0589 5.0673 -0.7231  0.544
H -5.4673 3.9115 -2.2107  0.376
H -6.9238 7.6456 0.4272  0.524
H -8.4919 8.7673 1.9744  0.564
H -7.9307 5.8470 4.8511  0.455
H -6.3504 4.6110 3.4138  0.595
H -8.7541 8.2497 5.2710  0.359
H -10.0809 7.3498 4.4821  0.362
H -9.5864 8.9328 3.8463  0.461
C 4.1796 -3.2867 -1.7445  0.627
O 3.4559 -3.8652 -0.8964  -0.496
O 5.2456 -4.1013 -2.2005  -0.325
O 4.0771 -2.1630 -2.2091  -0.665
H 5.0406 -4.8739 -1.6520  0.211
C 7.9991 -6.4298 -7.2007  -1.081
C 6.7659 -7.1201 -6.6590  -0.236
O 6.9262 -7.5144 -5.2862  -0.345
C 6.8267 -6.5291 -4.3933  0.271
O 6.6181 -5.3864 -4.6244  -0.436
C 6.9974 -7.1264 -2.9798  0.993
F 8.0832 -7.9292 -2.9391  -0.285
F 5.9234 -7.8771 -2.6730  -0.279
F 7.1368 -6.1910 -2.0574  -0.220
H 8.8752 -7.0665 -7.0750  0.299
H 7.8716 -6.2068 -8.2593  0.369
H 8.1908 -5.4979 -6.6749  0.295
H 6.5837 -8.0444 -7.2014  0.319
H 5.8798 -6.4963 -6.7598  0.326
Na -1.2388 -9.9521 1.8147  0.683
C 5.7647 -1.7909 -4.7400  -0.682
C 6.4486 -0.6213 -4.0900  -0.248
O 7.3540 0.0700 -5.0043  -0.345
C 6.8016 0.8647 -5.8827  0.730
O 5.6374 1.1243 -6.0278  -0.555
O 7.7918 1.3865 -6.6508  -0.343
C 7.3158 2.2153 -7.6940  -0.645
H 6.4957 -2.4727 -5.1819  0.271
H 5.1813 -2.3257 -3.9950  0.069
H 5.0972 -1.4650 -5.5395  0.308
H 7.0789 -0.9622 -3.2750  0.307
H 5.7312 0.0818 -3.6771  0.327
H 6.6587 3.0014 -7.3179  0.318
H 6.7987 1.6305 -8.4576  0.383
H 8.2080 2.6903 -8.1677  0.164
B -10.9528 10.2454 1.9772  0.534
F -11.7789 9.1754 1.6527  -0.389
F -9.7598 10.1357 1.2254  -0.412
F -11.5655 11.4455 1.7315  -0.341
F -10.5768 10.1406 3.3426  -0.389
F 3.6311 1.0274 2.8226  -0.797
Be 8.0581 4.2738 -9.2513  -0.055
C 2.6730 -6.4059 1.1796  0.877
O 3.1291 -6.5115 0.0489  -0.387
O 1.5961 -6.9761 1.5410  -0.440
____________
### Here it is
ORCA calculation (ωB97M-V/def2-TZVPD) on a molecular structure, C34H53B2BeF8IN4NaO15S2.

Last column: Mulliken charge in e.
Cartesian coordinates (Å):
C 3.1422 -1.5687 5.3419  -1.381
C 2.9936 -1.4665 3.8340  -0.273
C 1.7603 -0.7295 3.4662  -0.649
C 1.5985 -0.5377 1.9766  -1.791
N 0.3320 -1.2131 1.4912  0.916
C 0.5673 -2.2170 0.4457  -1.757
C -0.5038 -3.2589 0.4103  -0.920
C -0.6222 -3.8607 1.7544  -0.035
C -1.7140 -4.9312 1.8946  -0.803
B -1.4227 -5.5725 3.2380  0.342
O -1.2892 -4.8780 4.3230  -0.251
I -1.1564 -7.7576 3.4768  -0.170
C -0.6251 -0.3827 1.2313  -0.292
S -1.4012 -0.1588 -0.1998  -0.480
S -1.1032 0.6651 2.5917  0.042
C -2.8922 0.6764 2.5807  -1.001
C -3.4884 -0.2595 3.5552  -0.569
C -3.4052 -1.6918 3.0756  -0.726
H 2.9859 -2.5702 5.6592  0.353
H 2.4134 -0.9501 5.8051  0.360
H 4.1003 -1.2213 5.6482  0.324
H 2.8949 -2.4560 3.4312  0.121
H 3.7941 -0.9303 3.3886  0.435
H 1.7328 0.2044 3.9499  0.494
H 0.9001 -1.2689 3.8161  0.659
H 1.5552 0.5010 1.8130  0.503
H 2.4347 -0.9195 1.4562  0.780
H 0.7558 -1.7823 -0.5099  0.470
H 1.4493 -2.7280 0.7274  0.810
H -0.2397 -3.9863 -0.3256  0.699
H -1.4401 -2.8443 0.1115  0.332
H 0.3168 -4.2849 2.0310  0.197
H -0.8152 -3.1270 2.4851  0.343
H -2.6601 -4.4421 1.9517  0.155
H -1.7002 -5.6090 1.0707  0.320
H -2.1408 -4.6314 4.7039  0.319
H -3.2401 0.4913 1.5888  0.561
H -3.1621 1.6707 2.8375  0.256
H -4.5074 0.0417 3.6865  0.373
H -2.9877 -0.1824 4.4924  0.333
H -4.3768 -2.1329 3.0658  0.502
H -2.9853 -1.7092 2.0986  0.105
H -2.7585 -2.2609 3.6897  0.096
N -0.0820 4.2894 2.2643  1.091
O -1.1873 4.2927 2.8881  -0.669
O -0.0907 4.4495 0.9967  -0.698
O 0.9552 4.1490 2.8440  -0.630
C -2.9426 3.3201 -1.7233  -0.701
N -3.9167 3.9951 -0.8351  0.115
C -3.4760 4.3506 0.3746  -0.607
C -4.3133 5.0031 1.2487  -0.573
C -5.6102 5.2881 0.8734  0.772
C -6.0475 4.8853 -0.3913  -0.651
C -5.1791 4.2417 -1.2255  -0.263
C -6.5138 6.0215 1.7846  0.664
C -7.1179 7.2058 1.3929  -0.883
C -7.9852 7.8410 2.2488  -0.180
N -8.2569 7.3304 3.4504  0.091
C -7.6689 6.1977 3.8653  -0.349
C -6.7966 5.5277 3.0589  -0.653
C -9.2399 8.0181 4.3275  -1.051
H -2.5887 2.4389 -1.1904  0.226
H -2.1225 4.0012 -1.9261  0.346
H -3.4264 3.0276 -2.6491  0.293
H -2.4057 4.1271 0.6379  0.373
H -3.9088 5.2855 2.2119  0.707
H -7.0589 5.0673 -0.7231  0.544
H -5.4673 3.9115 -2.2107  0.376
H -6.9238 7.6456 0.4272  0.524
H -8.4919 8.7673 1.9744  0.564
H -7.9307 5.8470 4.8511  0.455
H -6.3504 4.6110 3.4138  0.595
H -8.7541 8.2497 5.2710  0.359
H -10.0809 7.3498 4.4821  0.362
H -9.5864 8.9328 3.8463  0.461
C 4.1796 -3.2867 -1.7445  0.627
O 3.4559 -3.8652 -0.8964  -0.496
O 5.2456 -4.1013 -2.2005  -0.325
O 4.0771 -2.1630 -2.2091  -0.665
H 5.0406 -4.8739 -1.6520  0.211
C 7.9991 -6.4298 -7.2007  -1.081
C 6.7659 -7.1201 -6.6590  -0.236
O 6.9262 -7.5144 -5.2862  -0.345
C 6.8267 -6.5291 -4.3933  0.271
O 6.6181 -5.3864 -4.6244  -0.436
C 6.9974 -7.1264 -2.9798  0.993
F 8.0832 -7.9292 -2.9391  -0.285
F 5.9234 -7.8771 -2.6730  -0.279
F 7.1368 -6.1910 -2.0574  -0.220
H 8.8752 -7.0665 -7.0750  0.299
H 7.8716 -6.2068 -8.2593  0.369
H 8.1908 -5.4979 -6.6749  0.295
H 6.5837 -8.0444 -7.2014  0.319
H 5.8798 -6.4963 -6.7598  0.326
Na -1.2388 -9.9521 1.8147  0.683
C 5.7647 -1.7909 -4.7400  -0.682
C 6.4486 -0.6213 -4.0900  -0.248
O 7.3540 0.0700 -5.0043  -0.345
C 6.8016 0.8647 -5.8827  0.730
O 5.6374 1.1243 -6.0278  -0.555
O 7.7918 1.3865 -6.6508  -0.343
C 7.3158 2.2153 -7.6940  -0.645
H 6.4957 -2.4727 -5.1819  0.271
H 5.1813 -2.3257 -3.9950  0.069
H 5.0972 -1.4650 -5.5395  0.308
H 7.0789 -0.9622 -3.2750  0.307
H 5.7312 0.0818 -3.6771  0.327
H 6.6587 3.0014 -7.3179  0.318
H 6.7987 1.6305 -8.4576  0.383
H 8.2080 2.6903 -8.1677  0.164
B -10.9528 10.2454 1.9772  0.534
F -11.7789 9.1754 1.6527  -0.389
F -9.7598 10.1357 1.2254  -0.412
F -11.5655 11.4455 1.7315  -0.341
F -10.5768 10.1406 3.3426  -0.389
F 3.6311 1.0274 2.8226  -0.797
Be 8.0581 4.2738 -9.2513  -0.055
C 2.6730 -6.4059 1.1796  0.877
O 3.1291 -6.5115 0.0489  -0.387
O 1.5961 -6.9761 1.5410  -0.440